<<<
No. 1
Theoretical X-ray powder pattern
Compound: CsNdCd2Br8
Radiation: Cu Kα
Structure: DFT lattice parameters and positions (PBE)
Peak positions follow from Bragg's law for the DFT cell and can differ from measured ones.

Atomic structure:
```
data_CsNdCd2Br8
_cell_length_a 7.095
_cell_length_b 7.231
_cell_length_c 10.142
_cell_angle_alpha 73.29
_cell_angle_beta 76.15
_cell_angle_gamma 74.69
_symmetry_space_group_name_H-M 'P -1'
_symmetry_Int_Tables_number 2
loop_
_symmetry_equiv_pos_as_xyz
'x,y,z'
'-x,-y,-z'
loop_
_atom_site_label
_atom_site_fract_x
_atom_site_fract_y
_atom_site_fract_z
Cs1 0.000 0.000 0.000
Nd1 0.000 0.000 0.500
Cd1 0.458 0.444 0.216
Br1 0.163 0.701 0.734
Br2 0.259 0.792 0.296
Br3 0.285 0.238 0.468
Br4 0.392 0.283 0.030
```

Main lines, in order of rising 2θ (10 to 90 degrees two-theta):
2θ 16.5, intensity 100.0, (1 1 0); 2θ 20.4, intensity 66.3, (1 -1 0); 2θ 25.2, intensity 45.8, (0 1 -2); 2θ 26.5, intensity 48.8, (2 0 1); 2θ 27.2, intensity 52.0, (-1 1 2); 2θ 37.6, intensity 78.2, (0 0 4)


No. 2
Theoretical X-ray powder pattern
Compound: Cs2NdCdBr6
Radiation: Cu Kα
Structure: DFT lattice parameters and positions (PBE)
Peak positions follow from Bragg's law for the DFT cell and can differ from measured ones.

Atomic structure:
```
data_Cs2NdCdBr6
_cell_length_a 8.395
_cell_length_b 11.844
_cell_length_c 8.392
_cell_angle_alpha 90.00
_cell_angle_beta 90.00
_cell_angle_gamma 90.00
_symmetry_space_group_name_H-M 'P m m n'
_symmetry_Int_Tables_number 59
loop_
_symmetry_equiv_pos_as_xyz
'x,y,z'
'-x,-y,-z'
'-x+1/2,-y+1/2,z'
'x+1/2,y+1/2,-z'
'x+1/2,-y,-z'
'-x+1/2,y,z'
'-x,y+1/2,-z'
'x,-y+1/2,z'
loop_
_atom_site_label
_atom_site_fract_x
_atom_site_fract_y
_atom_site_fract_z
Cs1 0.250 0.000 0.250
Nd1 0.250 0.250 0.749
Cd1 0.250 0.750 0.751
Br1 0.006 0.250 0.992
Br2 0.007 0.250 0.504
Br3 0.250 0.006 0.749
```

Main lines, in order of rising 2θ (10 to 90 degrees two-theta):
2θ 21.2, intensity 59.1, (2 0 0); 2θ 26.0, intensity 46.7, (2 2 0); 2θ 30.1, intensity 100.0, (2 0 2); 2θ 37.1, intensity 27.8, (2 4 0); 2θ 43.1, intensity 73.1, (4 0 0); 2θ 53.5, intensity 25.5, (4 4 0)


No. 3
Theoretical X-ray powder pattern
Compound: Cs2SmCdBr6
Radiation: Cu Kα
Structure: DFT lattice parameters and positions (PBE)
Peak positions follow from Bragg's law for the DFT cell and can differ from measured ones.

Atomic structure:
```
data_Cs2SmCdBr6
_cell_length_a 8.351
_cell_length_b 11.785
_cell_length_c 8.350
_cell_angle_alpha 90.00
_cell_angle_beta 90.00
_cell_angle_gamma 90.00
_symmetry_space_group_name_H-M 'P m m n'
_symmetry_Int_Tables_number 59
loop_
_symmetry_equiv_pos_as_xyz
'x,y,z'
'-x,-y,-z'
'-x+1/2,-y+1/2,z'
'x+1/2,y+1/2,-z'
'x+1/2,-y,-z'
'-x+1/2,y,z'
'-x,y+1/2,-z'
'x,-y+1/2,z'
loop_
_atom_site_label
_atom_site_fract_x
_atom_site_fract_y
_atom_site_fract_z
Cs1 0.250 0.000 0.249
Sm1 0.250 0.250 0.753
Cd1 0.250 0.750 0.747
Br1 0.006 0.250 0.512
Br2 0.009 0.250 0.997
Br3 0.250 0.007 0.752
```

Main lines, in order of rising 2θ (10 to 90 degrees two-theta):
2θ 21.3, intensity 60.7, (2 0 0); 2θ 26.2, intensity 45.3, (2 2 0); 2θ 30.3, intensity 100.0, (0 4 0); 2θ 37.3, intensity 28.3, (2 4 0); 2θ 43.4, intensity 72.8, (4 0 0); 2θ 53.8, intensity 25.3, (4 4 0)


No. 4
Theoretical X-ray powder pattern
Compound: Cs4TlCd3Br12
Radiation: Cu Kα
Structure: DFT lattice parameters and positions (PBE)
Peak positions follow from Bragg's law for the DFT cell and can differ from measured ones.

Atomic structure:
```
data_Cs4TlCd3Br12
_cell_length_a 11.367
_cell_length_b 11.367
_cell_length_c 11.367
_cell_angle_alpha 90.00
_cell_angle_beta 90.00
_cell_angle_gamma 90.00
_symmetry_space_group_name_H-M 'I m -3 m'
_symmetry_Int_Tables_number 229
_symmetry_space_group_name_Hall '-I 4 2 3'
loop_
_atom_site_label
_atom_site_fract_x
_atom_site_fract_y
_atom_site_fract_z
Cs1 0.250 0.250 0.250
Tl1 0.000 0.000 0.000
Cd1 0.000 0.000 0.500
Br1 0.000 0.000 0.258
Br2 0.000 0.250 0.500
```

Main lines, in order of rising 2θ (10 to 90 degrees two-theta):
>>>
The reader should restate the entries above with every line break kept.
No. 1
Theoretical X-ray powder pattern
Compound: CsNdCd2Br8
Radiation: Cu Kα
Structure: DFT lattice parameters and positions (PBE)
Peak positions follow from Bragg's law for the DFT cell and can differ from measured ones.

Atomic structure:
```
data_CsNdCd2Br8
_cell_length_a 7.095
_cell_length_b 7.231
_cell_length_c 10.142
_cell_angle_alpha 73.29
_cell_angle_beta 76.15
_cell_angle_gamma 74.69
_symmetry_space_group_name_H-M 'P -1'
_symmetry_Int_Tables_number 2
loop_
_symmetry_equiv_pos_as_xyz
'x,y,z'
'-x,-y,-z'
loop_
_atom_site_label
_atom_site_fract_x
_atom_site_fract_y
_atom_site_fract_z
Cs1 0.000 0.000 0.000
Nd1 0.000 0.000 0.500
Cd1 0.458 0.444 0.216
Br1 0.163 0.701 0.734
Br2 0.259 0.792 0.296
Br3 0.285 0.238 0.468
Br4 0.392 0.283 0.030
```

Main lines, in order of rising 2θ (10 to 90 degrees two-theta):
2θ 16.5, intensity 100.0, (1 1 0); 2θ 20.4, intensity 66.3, (1 -1 0); 2θ 25.2, intensity 45.8, (0 1 -2); 2θ 26.5, intensity 48.8, (2 0 1); 2θ 27.2, intensity 52.0, (-1 1 2); 2θ 37.6, intensity 78.2, (0 0 4)


No. 2
Theoretical X-ray powder pattern
Compound: Cs2NdCdBr6
Radiation: Cu Kα
Structure: DFT lattice parameters and positions (PBE)
Peak positions follow from Bragg's law for the DFT cell and can differ from measured ones.

Atomic structure:
```
data_Cs2NdCdBr6
_cell_length_a 8.395
_cell_length_b 11.844
_cell_length_c 8.392
_cell_angle_alpha 90.00
_cell_angle_beta 90.00
_cell_angle_gamma 90.00
_symmetry_space_group_name_H-M 'P m m n'
_symmetry_Int_Tables_number 59
loop_
_symmetry_equiv_pos_as_xyz
'x,y,z'
'-x,-y,-z'
'-x+1/2,-y+1/2,z'
'x+1/2,y+1/2,-z'
'x+1/2,-y,-z'
'-x+1/2,y,z'
'-x,y+1/2,-z'
'x,-y+1/2,z'
loop_
_atom_site_label
_atom_site_fract_x
_atom_site_fract_y
_atom_site_fract_z
Cs1 0.250 0.000 0.250
Nd1 0.250 0.250 0.749
Cd1 0.250 0.750 0.751
Br1 0.006 0.250 0.992
Br2 0.007 0.250 0.504
Br3 0.250 0.006 0.749
```

Main lines, in order of rising 2θ (10 to 90 degrees two-theta):
2θ 21.2, intensity 59.1, (2 0 0); 2θ 26.0, intensity 46.7, (2 2 0); 2θ 30.1, intensity 100.0, (2 0 2); 2θ 37.1, intensity 27.8, (2 4 0); 2θ 43.1, intensity 73.1, (4 0 0); 2θ 53.5, intensity 25.5, (4 4 0)


No. 3
Theoretical X-ray powder pattern
Compound: Cs2SmCdBr6
Radiation: Cu Kα
Structure: DFT lattice parameters and positions (PBE)
Peak positions follow from Bragg's law for the DFT cell and can differ from measured ones.

Atomic structure:
```
data_Cs2SmCdBr6
_cell_length_a 8.351
_cell_length_b 11.785
_cell_length_c 8.350
_cell_angle_alpha 90.00
_cell_angle_beta 90.00
_cell_angle_gamma 90.00
_symmetry_space_group_name_H-M 'P m m n'
_symmetry_Int_Tables_number 59
loop_
_symmetry_equiv_pos_as_xyz
'x,y,z'
'-x,-y,-z'
'-x+1/2,-y+1/2,z'
'x+1/2,y+1/2,-z'
'x+1/2,-y,-z'
'-x+1/2,y,z'
'-x,y+1/2,-z'
'x,-y+1/2,z'
loop_
_atom_site_label
_atom_site_fract_x
_atom_site_fract_y
_atom_site_fract_z
Cs1 0.250 0.000 0.249
Sm1 0.250 0.250 0.753
Cd1 0.250 0.750 0.747
Br1 0.006 0.250 0.512
Br2 0.009 0.250 0.997
Br3 0.250 0.007 0.752
```

Main lines, in order of rising 2θ (10 to 90 degrees two-theta):
2θ 21.3, intensity 60.7, (2 0 0); 2θ 26.2, intensity 45.3, (2 2 0); 2θ 30.3, intensity 100.0, (0 4 0); 2θ 37.3, intensity 28.3, (2 4 0); 2θ 43.4, intensity 72.8, (4 0 0); 2θ 53.8, intensity 25.3, (4 4 0)


No. 4
Theoretical X-ray powder pattern
Compound: Cs4TlCd3Br12
Radiation: Cu Kα
Structure: DFT lattice parameters and positions (PBE)
Peak positions follow from Bragg's law for the DFT cell and can differ from measured ones.

Atomic structure:
```
data_Cs4TlCd3Br12
_cell_length_a 11.367
_cell_length_b 11.367
_cell_length_c 11.367
_cell_angle_alpha 90.00
_cell_angle_beta 90.00
_cell_angle_gamma 90.00
_symmetry_space_group_name_H-M 'I m -3 m'
_symmetry_Int_Tables_number 229
_symmetry_space_group_name_Hall '-I 4 2 3'
loop_
_atom_site_label
_atom_site_fract_x
_atom_site_fract_y
_atom_site_fract_z
Cs1 0.250 0.250 0.250
Tl1 0.000 0.000 0.000
Cd1 0.000 0.000 0.500
Br1 0.000 0.000 0.258
Br2 0.000 0.250 0.500
```

Main lines, in order of rising 2θ (10 to 90 degrees two-theta):